No. 1
Molecular formula: C37H43O2SiTb
Method: DFT, ωB97M-V/def2-TZVPD

Structure (XYZ):
```
84
Properties=species:S:1:pos:R:3:forces:R:3:mulliken_charge:R:1
O -0.672 2.412 -3.429 0.1106 2.0310 -1.8241 0.186
C 0.207 3.034 -4.475 1.6475 -0.7150 1.6873 -0.297
C -0.574 4.338 -4.712 -1.4070 -0.7573 -1.3286 -0.513
H 0.478 2.155 -5.073 -0.8438 1.1386 -1.5228 0.023
H 1.221 3.243 -4.160 0.1490 0.2210 0.9999 0.298
C -1.742 3.404 -3.846 0.6100 0.5799 0.3484 0.844
H -0.634 4.665 -5.956 -0.3653 -0.9477 3.9092 0.259
H -0.257 5.266 -4.034 -0.4457 -2.2814 -1.6752 0.295
C -2.842 2.724 -4.740 0.5355 -0.2314 -0.4014 -1.014
H -2.378 1.940 -5.469 -0.5912 1.7832 1.3109 0.025
H -3.166 3.609 -5.366 -0.4809 -1.3210 0.6165 0.433
H -3.677 2.129 -4.189 1.3599 1.5501 -0.7866 0.255
C -2.123 4.216 -2.569 -0.4485 -0.1591 0.0265 -1.272
H -1.194 4.530 -2.065 -0.1745 0.0113 -0.5315 0.333
H -2.654 3.671 -1.726 0.1423 0.3710 -1.4869 0.165
H -2.668 5.142 -2.888 0.2237 -0.8434 0.4452 0.411
Tb -0.089 0.130 -1.924 1.4014 2.6924 3.3428 0.381
C 0.998 1.410 0.381 1.3914 0.4531 -0.9948 -0.650
C 2.086 0.565 -0.004 -0.6125 0.8044 -0.0845 -0.470
C 2.541 0.983 -1.295 -0.2960 0.8179 -0.4634 -1.825
H 2.615 -0.094 0.685 -0.4064 -0.0340 -0.4643 0.781
C 1.736 2.109 -1.705 0.5264 -0.3522 0.5508 -0.189
C 0.756 2.330 -0.687 1.0113 -0.1458 0.2171 -0.821
H 0.061 3.169 -0.686 0.2621 -0.3654 0.0678 0.605
H 0.583 1.471 1.379 -0.1668 -0.3765 -0.2777 0.826
H 3.469 0.682 -1.803 -0.5523 -0.0089 0.3337 0.518
H 2.010 2.876 -2.444 -0.2733 -0.8735 0.2030 0.757
C -1.457 0.111 0.468 -0.0114 0.1503 0.9486 -0.170
C -1.864 1.213 -0.314 -0.8288 0.3903 -0.1293 -0.953
C -2.432 0.700 -1.516 -1.3948 0.4401 -0.4011 0.235
H -1.808 2.302 -0.051 -0.0670 -1.4867 -0.1736 0.537
C -2.333 -0.723 -1.474 -1.8249 -1.0428 -1.2264 -0.965
C -1.751 -1.085 -0.237 0.2147 -0.5206 0.3176 -0.372
H -1.592 -2.113 0.185 -0.0055 1.1738 -0.6062 0.428
H -1.038 0.148 1.520 -0.2774 -0.3727 -1.4295 -0.021
H -3.026 1.299 -2.262 1.0194 -0.8120 0.7690 0.616
H -2.673 -1.410 -2.325 0.4073 1.0406 1.6351 0.404
O -0.691 -0.842 -3.833 2.0846 -1.5959 -3.5631 -0.220
C -0.762 -0.188 -5.213 1.2732 0.9967 -0.6813 0.688
C 0.052 -0.964 -6.320 0.1362 -0.0461 1.2285 -0.694
H -0.167 0.742 -5.242 -0.6586 -0.4921 1.1326 -0.895
H -1.781 0.162 -5.508 0.5890 -1.2122 0.8019 0.588
C 0.983 -1.903 -5.446 0.5331 -0.5998 0.5627 -0.612
H 0.746 -0.263 -6.876 -1.1295 -0.5761 0.6457 0.254
H -0.652 -1.403 -7.057 0.8070 -0.3923 0.6202 0.321
C 0.678 -1.675 -3.846 -0.5910 -0.2562 -1.9347 -0.169
H 2.078 -1.659 -5.590 -1.2731 -0.1912 0.0172 0.318
H 0.878 -3.003 -5.736 -0.0545 1.4974 0.6761 0.302
H 1.464 -0.961 -3.343 -0.9509 -1.5755 -1.0007 0.326
H 0.613 -2.754 -3.372 -0.3563 2.6350 -0.3763 0.254
C -0.253 2.079 6.596 -0.2990 0.0127 0.3009 -0.447
C 0.809 2.115 5.683 -0.0771 -0.2460 -0.2596 -0.542
C 0.950 1.093 4.732 -0.4105 0.1818 0.6536 -0.470
C 0.043 -0.001 4.696 0.0521 0.2880 1.0346 0.627
C -1.063 0.020 5.577 0.1390 0.7108 0.5038 -0.506
C -1.195 1.035 6.543 0.1165 -0.0476 -0.4952 -0.472
Si 0.355 -1.367 3.510 -0.7152 0.5495 -2.4065 -0.042
C 2.175 -1.776 3.435 0.1760 -0.3211 0.0728 0.337
C 2.731 -2.015 2.155 0.6539 -0.1021 0.6609 -0.750
C 4.104 -2.278 2.028 -0.6234 -0.0416 0.2350 -0.373
C 4.906 -2.369 3.171 -0.1310 0.0331 -0.2291 -0.454
C 4.354 -2.163 4.437 -0.4637 0.1557 -0.1977 -0.547
C 2.995 -1.846 4.577 0.5661 -0.1944 -0.7880 -0.290
C -0.686 -2.904 3.696 0.1748 -0.0415 0.5588 0.569
C -0.076 -4.171 3.842 -0.7659 -0.1156 0.2447 -0.479
C -0.869 -5.304 4.050 0.5240 0.3057 -0.4428 -0.468
C -2.252 -5.198 4.064 -0.6988 -0.6041 0.3565 -0.449
C -2.871 -3.966 3.901 0.1685 0.9226 -0.3780 -0.676
C -2.100 -2.816 3.680 0.3947 -0.6328 0.3569 -0.377
H -0.365 2.874 7.354 0.1050 -0.4654 -0.4603 0.301
H 1.528 2.949 5.717 -0.3659 -0.4663 -0.0453 0.344
H 1.778 1.134 4.018 -0.1835 -0.0859 0.2272 0.323
H -1.824 -0.767 5.511 0.3982 0.2053 0.1780 0.238
H -2.040 1.016 7.254 0.5092 0.0335 -0.4408 0.350
H 2.078 -1.969 1.269 0.3258 -0.0590 0.5865 0.516

What is needed: duplicate only the lines earlier on with the word "Molecular" in them.

Molecular formula: C37H43O2SiTb